Retype the lines further down up to the one that holds "0.162 0.000", that line included.

# 1
# Re2BTe

Re2BTe after structural relaxation (PBE, the Alexandria database).

Computed properties:
Its energy is -7.9289 eV/atom. The offset from the most stable computed form comes out at 0 kJ/mol of formula units. The calculation puts the density of states at the Fermi level at 1.181 states/eV/atom. As for the space group: I-42d (122). As for the uncorrected formation energy: 750 meV/atom.

CIF file:
```
data_Re2BTe
_cell_length_a 4.6171
_cell_length_b 4.6171
_cell_length_c 7.5710
_cell_angle_alpha 72.25
_cell_angle_beta 72.25
_cell_angle_gamma 90.00
_symmetry_space_group_name_H-M 'P 1'
_symmetry_Int_Tables_number 1
loop_
_symmetry_equiv_pos_as_xyz
'x,y,z'
loop_
_atom_site_label
_atom_site_type_symbol
_atom_site_fract_x
_atom_site_fract_y
_atom_site_fract_z
Re1 Re 0.5048 0.1250 0.2500
Re2 Re 0.2452 0.6250 0.2500
Re3 Re 0.3750 0.4952 0.7500
Re4 Re 0.8750 0.7548 0.7500
B1 B 0.5000 0.5000 0.0000
B2 B 0.2500 0.7500 0.5000
Te1 Te 0.0000 0.0000 0.0000
Te2 Te 0.7500 0.2500 0.5000
```

# 2
# ReB3Te

ReB3Te after structural relaxation (PBE, the Alexandria database).

Computed properties:
Its energy is -4.1757 eV/atom. The offset from the most stable computed form comes out at 751 kJ/mol of formula units. The calculation puts the density of states at the Fermi level at 1.407 states/eV/atom. As for the space group: Pm-3m (221). As for the uncorrected formation energy: 2949 meV/atom.

CIF file:
```
data_ReB3Te
_cell_length_a 4.2692
_cell_length_b 4.2692
_cell_length_c 4.2692
_cell_angle_alpha 90.00
_cell_angle_beta 90.00
_cell_angle_gamma 90.00
_symmetry_space_group_name_H-M 'P 1'
_symmetry_Int_Tables_number 1
loop_
_symmetry_equiv_pos_as_xyz
'x,y,z'
loop_
_atom_site_label
_atom_site_type_symbol
_atom_site_fract_x
_atom_site_fract_y
_atom_site_fract_z
Re1 Re 0.5000 0.5000 0.5000
B1 B 0.0000 0.5000 0.0000
B2 B 0.0000 0.0000 0.5000
B3 B 0.5000 0.0000 0.0000
Te1 Te 0.0000 0.0000 0.0000
```

Question: What is the energy in the second record?
Answer: -4.1757 eV/atom

Question: Which value of offset from the most stable computed form does entry 2 give?
Answer: 751 kJ/mol of formula units

Question: Among the records above, which one has the highest energy?
Answer: ReB3Te


#a
Zr4AlTl: optimized geometry, PBE-GGA.

a = 5.792 Å, b = 5.792 Å, c = 5.792 Å
α = 60.00°, β = 60.00°, γ = 60.00°
Element x y z (fractional)
1 Zr 0.124 0.124 0.124
2 Zr 0.124 0.124 0.628
3 Zr 0.124 0.628 0.124
4 Zr 0.628 0.124 0.124
5 Al 0.750 0.750 0.750
6 Tl 0.500 0.500 0.500

Properties
space-group type = F-43m

#b
Zr4AlTl: optimized geometry, PBE-GGA.

a = 10.623 Å, b = 3.297 Å, c = 8.124 Å
α = 90.00°, β = 112.42°, γ = 90.00°
Element x y z (fractional)
1 Zr 0.162 0.000 0.339
2 Zr 0.164 0.000 0.824
3 Zr 0.336 0.500 0.176
4 Zr 0.338 0.500 0.661
5 Zr 0.662 0.500 0.339
6 Zr 0.664 0.500 0.824
7 Zr 0.836 0.000 0.176
8 Zr 0.838 0.000 0.661
9 Al 0.000 0.500 0.500
10 Al 0.500 0.000 0.500
11 Tl 0.000 0.500 0.000
12 Tl 0.500 0.000 0.000

Properties
space-group type = C2/m

Looking at the structures above, #b is most stable, and the difference to the next one is 0.456 eV/atom.


A plane-wave DFT calculation with GGA-PBE was carried out for AcSb2 after structural relaxation.

Crystal system: monoclinic
Energy above the most stable polymorph in this dataset in eV per atom: 0.145
Energy relative to the elements, uncorrected in eV/f.u.: -1.98
Calculated volume in A^3/atom: 34.50
D(E_F) in states/eV per atom: 0.516
Energy in eV per atom: -4.778

a = 4.537 Å, b = 4.537 Å, c = 5.574 Å
α = 107.82°, β = 107.82°, γ = 89.82°
Sites, in units of the cell vectors:
Ac 0.000 0.000 0.000
Sb 0.404 0.404 0.706
Sb 0.596 0.596 0.294


Lu2AlPd | PBE | optimized geometry Values from VASP.

## Properties
As for the electronic total energy: -19.36 eV per cell. As for the space group: No. 216.

Structure (Quantum ESPRESSO input):
```
&SYSTEM
  ibrav = 0, nat = 4, ntyp = 3
/
ATOMIC_SPECIES
Al 26.98 Al.upf
Pd 106.42 Pd.upf
Lu 174.97 Lu.upf
ATOMIC_POSITIONS crystal
Al 0.500 0.500 0.500

# 1
# Re2BTe

Re2BTe after structural relaxation (PBE, the Alexandria database).

Computed properties:
Its energy is -7.9289 eV/atom. The offset from the most stable computed form comes out at 0 kJ/mol of formula units. The calculation puts the density of states at the Fermi level at 1.181 states/eV/atom. As for the space group: I-42d (122). As for the uncorrected formation energy: 750 meV/atom.

CIF file:
```
data_Re2BTe
_cell_length_a 4.6171
_cell_length_b 4.6171
_cell_length_c 7.5710
_cell_angle_alpha 72.25
_cell_angle_beta 72.25
_cell_angle_gamma 90.00
_symmetry_space_group_name_H-M 'P 1'
_symmetry_Int_Tables_number 1
loop_
_symmetry_equiv_pos_as_xyz
'x,y,z'
loop_
_atom_site_label
_atom_site_type_symbol
_atom_site_fract_x
_atom_site_fract_y
_atom_site_fract_z
Re1 Re 0.5048 0.1250 0.2500
Re2 Re 0.2452 0.6250 0.2500
Re3 Re 0.3750 0.4952 0.7500
Re4 Re 0.8750 0.7548 0.7500
B1 B 0.5000 0.5000 0.0000
B2 B 0.2500 0.7500 0.5000
Te1 Te 0.0000 0.0000 0.0000
Te2 Te 0.7500 0.2500 0.5000
```

# 2
# ReB3Te

ReB3Te after structural relaxation (PBE, the Alexandria database).

Computed properties:
Its energy is -4.1757 eV/atom. The offset from the most stable computed form comes out at 751 kJ/mol of formula units. The calculation puts the density of states at the Fermi level at 1.407 states/eV/atom. As for the space group: Pm-3m (221). As for the uncorrected formation energy: 2949 meV/atom.

CIF file:
```
data_ReB3Te
_cell_length_a 4.2692
_cell_length_b 4.2692
_cell_length_c 4.2692
_cell_angle_alpha 90.00
_cell_angle_beta 90.00
_cell_angle_gamma 90.00
_symmetry_space_group_name_H-M 'P 1'
_symmetry_Int_Tables_number 1
loop_
_symmetry_equiv_pos_as_xyz
'x,y,z'
loop_
_atom_site_label
_atom_site_type_symbol
_atom_site_fract_x
_atom_site_fract_y
_atom_site_fract_z
Re1 Re 0.5000 0.5000 0.5000
B1 B 0.0000 0.5000 0.0000
B2 B 0.0000 0.0000 0.5000
B3 B 0.5000 0.0000 0.0000
Te1 Te 0.0000 0.0000 0.0000
```

Question: What is the energy in the second record?
Answer: -4.1757 eV/atom

Question: Which value of offset from the most stable computed form does entry 2 give?
Answer: 751 kJ/mol of formula units

Question: Among the records above, which one has the highest energy?
Answer: ReB3Te


#a
Zr4AlTl: optimized geometry, PBE-GGA.

a = 5.792 Å, b = 5.792 Å, c = 5.792 Å
α = 60.00°, β = 60.00°, γ = 60.00°
Element x y z (fractional)
1 Zr 0.124 0.124 0.124
2 Zr 0.124 0.124 0.628
3 Zr 0.124 0.628 0.124
4 Zr 0.628 0.124 0.124
5 Al 0.750 0.750 0.750
6 Tl 0.500 0.500 0.500

Properties
space-group type = F-43m

#b
Zr4AlTl: optimized geometry, PBE-GGA.

a = 10.623 Å, b = 3.297 Å, c = 8.124 Å
α = 90.00°, β = 112.42°, γ = 90.00°
Element x y z (fractional)
1 Zr 0.162 0.000 0.339